Could you restate all of the calculation results below without altering anything?

'''
(1)
# DyGa5Co (GGA-PBE, optimized geometry)
data_DyGa5Co
_cell_length_a 4.230
_cell_length_b 4.230
_cell_length_c 6.790
_cell_angle_alpha 90.00
_cell_angle_beta 90.00
_cell_angle_gamma 90.00
_space_group_name_H-M_alt 'P 1'
_space_group_IT_number 1
_space_group_name_Hall 'P 1'
loop_
_atom_site_label
_atom_site_type_symbol
_atom_site_fract_x
_atom_site_fract_y
_atom_site_fract_z
Ga1 Ga 0.500 0.500 0.000
Dy1 Dy 0.000 0.000 0.000
Ga2 Ga 0.500 0.000 0.310
Ga3 Ga 0.000 0.500 0.690
Ga4 Ga 0.500 0.000 0.690
Co1 Co 0.000 0.000 0.500
Ga5 Ga 0.000 0.500 0.310
# uncorrected energy = -30.16 eV for the cell shown
# crystal system = tetragonal

---

(2)
# GdCuPb (GGA-PBE, optimized geometry)
data_GdCuPb
_cell_length_a 4.651
_cell_length_b 4.651
_cell_length_c 7.498
_cell_angle_alpha 90.00
_cell_angle_beta 90.00
_cell_angle_gamma 120.00
_space_group_name_H-M_alt 'P 1'
_space_group_IT_number 1
_space_group_name_Hall 'P 1'
loop_
_atom_site_label
_atom_site_type_symbol
_atom_site_fract_x
_atom_site_fract_y
_atom_site_fract_z
Gd1 Gd 0.000 0.000 0.000
Gd2 Gd 0.000 0.000 0.500
Pb1 Pb 0.333 0.667 0.250
Cu1 Cu 0.333 0.667 0.750
Pb2 Pb 0.667 0.333 0.750
Cu2 Cu 0.667 0.333 0.250
# uncorrected energy = -45.91 eV for the cell shown
# crystal system = hexagonal

---

(3)
# KMgC2O10 (GGA-PBE, optimized geometry)
data_KMgC2O10
_cell_length_a 5.074
_cell_length_b 6.815
_cell_length_c 7.180
_cell_angle_alpha 74.17
_cell_angle_beta 78.77
_cell_angle_gamma 79.52
_space_group_name_H-M_alt 'P 1'
_space_group_IT_number 1
_space_group_name_Hall 'P 1'
loop_
_atom_site_label
_atom_site_type_symbol
_atom_site_fract_x
_atom_site_fract_y
_atom_site_fract_z
C1 C 0.379 0.219 0.292
O1 O 0.763 0.909 0.727
Mg1 Mg 0.500 0.500 0.500
C2 C 0.621 0.781 0.708
O2 O 0.196 0.439 0.802
O3 O 0.590 0.694 0.205
O4 O 0.237 0.091 0.273
O5 O 0.410 0.306 0.795
O6 O 0.608 0.231 0.180
O7 O 0.392 0.769 0.820
O8 O 0.804 0.561 0.198
O9 O 0.297 0.330 0.417
K1 K 0.000 0.000 0.000
O10 O 0.703 0.670 0.583
# ΔE to the lowest computed polymorph = 0.0 kJ/mol of atoms
# crystal system = triclinic
# MP2020-corrected energy = -6.153 eV per atom

---

(4)
# MoS3 (GGA-PBE, optimized geometry)
data_MoS3
_cell_length_a 3.087
_cell_length_b 3.404
_cell_length_c 8.184
_cell_angle_alpha 85.12
_cell_angle_beta 90.00
_cell_angle_gamma 90.00
_space_group_name_H-M_alt 'P 1'
_space_group_IT_number 1
_space_group_name_Hall 'P 1'
loop_
_atom_site_label
_atom_site_type_symbol
_atom_site_fract_x
_atom_site_fract_y
_atom_site_fract_z
S1 S 0.000 0.372 0.650
S2 S 0.000 0.623 0.138
Mo1 Mo 0.500 0.107 0.245
S3 S 0.500 0.059 0.515
# crystal system = monoclinic
# MP2020-corrected energy = -6.113 eV per atom

---

(5)
# Ba4Cd11Ge12 (GGA-PBE, optimized geometry)
data_Ba4Cd11Ge12
_cell_length_a 11.559
_cell_length_b 11.559
_cell_length_c 11.559
_cell_angle_alpha 90.00
_cell_angle_beta 90.00
_cell_angle_gamma 90.00
_space_group_name_H-M_alt 'P 1'
_space_group_IT_number 1
_space_group_name_Hall 'P 1'
loop_
_atom_site_label
_atom_site_type_symbol
_atom_site_fract_x
_atom_site_fract_y
_atom_site_fract_z
Cd1 Cd 0.679 0.321 0.321
Ba1 Ba 0.250 0.000 0.500
Ge1 Ge 0.895 0.683 0.000
Ge2 Ge 0.183 0.395 0.500
Cd2 Cd 0.500 0.000 0.750
Ge3 Ge 0.000 0.895 0.683
Ge4 Ge 0.683 0.000 0.105
Cd3 Cd 0.321 0.321 0.679
Ge5 Ge 0.183 0.605 0.500
Ba2 Ba 0.000 0.000 0.000
Ge6 Ge 0.395 0.500 0.183
Cd4 Cd 0.821 0.179 0.821
Cd5 Cd 0.821 0.821 0.179
Cd6 Cd 0.679 0.679 0.321
Ge7 Ge 0.317 0.000 0.105
Ge8 Ge 0.683 0.000 0.895
Ba3 Ba 0.500 0.250 0.000
Cd7 Cd 0.500 0.000 0.250
Cd8 Cd 0.000 0.250 0.500
Ge9 Ge 0.000 0.895 0.317
Cd9 Cd 0.679 0.321 0.679
Ba4 Ba 0.500 0.750 0.000
Ba5 Ba 0.000 0.500 0.750
'''

(1)
# DyGa5Co (GGA-PBE, optimized geometry)
data_DyGa5Co
_cell_length_a 4.230
_cell_length_b 4.230
_cell_length_c 6.790
_cell_angle_alpha 90.00
_cell_angle_beta 90.00
_cell_angle_gamma 90.00
_space_group_name_H-M_alt 'P 1'
_space_group_IT_number 1
_space_group_name_Hall 'P 1'
loop_
_atom_site_label
_atom_site_type_symbol
_atom_site_fract_x
_atom_site_fract_y
_atom_site_fract_z
Ga1 Ga 0.500 0.500 0.000
Dy1 Dy 0.000 0.000 0.000
Ga2 Ga 0.500 0.000 0.310
Ga3 Ga 0.000 0.500 0.690
Ga4 Ga 0.500 0.000 0.690
Co1 Co 0.000 0.000 0.500
Ga5 Ga 0.000 0.500 0.310
# uncorrected energy = -30.16 eV for the cell shown
# crystal system = tetragonal

---

(2)
# GdCuPb (GGA-PBE, optimized geometry)
data_GdCuPb
_cell_length_a 4.651
_cell_length_b 4.651
_cell_length_c 7.498
_cell_angle_alpha 90.00
_cell_angle_beta 90.00
_cell_angle_gamma 120.00
_space_group_name_H-M_alt 'P 1'
_space_group_IT_number 1
_space_group_name_Hall 'P 1'
loop_
_atom_site_label
_atom_site_type_symbol
_atom_site_fract_x
_atom_site_fract_y
_atom_site_fract_z
Gd1 Gd 0.000 0.000 0.000
Gd2 Gd 0.000 0.000 0.500
Pb1 Pb 0.333 0.667 0.250
Cu1 Cu 0.333 0.667 0.750
Pb2 Pb 0.667 0.333 0.750
Cu2 Cu 0.667 0.333 0.250
# uncorrected energy = -45.91 eV for the cell shown
# crystal system = hexagonal

---

(3)
# KMgC2O10 (GGA-PBE, optimized geometry)
data_KMgC2O10
_cell_length_a 5.074
_cell_length_b 6.815
_cell_length_c 7.180
_cell_angle_alpha 74.17
_cell_angle_beta 78.77
_cell_angle_gamma 79.52
_space_group_name_H-M_alt 'P 1'
_space_group_IT_number 1
_space_group_name_Hall 'P 1'
loop_
_atom_site_label
_atom_site_type_symbol
_atom_site_fract_x
_atom_site_fract_y
_atom_site_fract_z
C1 C 0.379 0.219 0.292
O1 O 0.763 0.909 0.727
Mg1 Mg 0.500 0.500 0.500
C2 C 0.621 0.781 0.708
O2 O 0.196 0.439 0.802
O3 O 0.590 0.694 0.205
O4 O 0.237 0.091 0.273
O5 O 0.410 0.306 0.795
O6 O 0.608 0.231 0.180
O7 O 0.392 0.769 0.820
O8 O 0.804 0.561 0.198
O9 O 0.297 0.330 0.417
K1 K 0.000 0.000 0.000
O10 O 0.703 0.670 0.583
# ΔE to the lowest computed polymorph = 0.0 kJ/mol of atoms
# crystal system = triclinic
# MP2020-corrected energy = -6.153 eV per atom

---

(4)
# MoS3 (GGA-PBE, optimized geometry)
data_MoS3
_cell_length_a 3.087
_cell_length_b 3.404
_cell_length_c 8.184
_cell_angle_alpha 85.12
_cell_angle_beta 90.00
_cell_angle_gamma 90.00
_space_group_name_H-M_alt 'P 1'
_space_group_IT_number 1
_space_group_name_Hall 'P 1'
loop_
_atom_site_label
_atom_site_type_symbol
_atom_site_fract_x
_atom_site_fract_y
_atom_site_fract_z
S1 S 0.000 0.372 0.650
S2 S 0.000 0.623 0.138
Mo1 Mo 0.500 0.107 0.245
S3 S 0.500 0.059 0.515
# crystal system = monoclinic
# MP2020-corrected energy = -6.113 eV per atom

---

(5)
# Ba4Cd11Ge12 (GGA-PBE, optimized geometry)
data_Ba4Cd11Ge12
_cell_length_a 11.559
_cell_length_b 11.559
_cell_length_c 11.559
_cell_angle_alpha 90.00
_cell_angle_beta 90.00
_cell_angle_gamma 90.00
_space_group_name_H-M_alt 'P 1'
_space_group_IT_number 1
_space_group_name_Hall 'P 1'
loop_
_atom_site_label
_atom_site_type_symbol
_atom_site_fract_x
_atom_site_fract_y
_atom_site_fract_z
Cd1 Cd 0.679 0.321 0.321
Ba1 Ba 0.250 0.000 0.500
Ge1 Ge 0.895 0.683 0.000
Ge2 Ge 0.183 0.395 0.500
Cd2 Cd 0.500 0.000 0.750
Ge3 Ge 0.000 0.895 0.683
Ge4 Ge 0.683 0.000 0.105
Cd3 Cd 0.321 0.321 0.679
Ge5 Ge 0.183 0.605 0.500
Ba2 Ba 0.000 0.000 0.000
Ge6 Ge 0.395 0.500 0.183
Cd4 Cd 0.821 0.179 0.821
Cd5 Cd 0.821 0.821 0.179
Cd6 Cd 0.679 0.679 0.321
Ge7 Ge 0.317 0.000 0.105
Ge8 Ge 0.683 0.000 0.895
Ba3 Ba 0.500 0.250 0.000
Cd7 Cd 0.500 0.000 0.250
Cd8 Cd 0.000 0.250 0.500
Ge9 Ge 0.000 0.895 0.317
Cd9 Cd 0.679 0.321 0.679
Ba4 Ba 0.500 0.750 0.000
Ba5 Ba 0.000 0.500 0.750